What is needed: give back the block below verbatim.

********
! SmLuZn4 | Alexandria | PBE-GGA | relaxed; values from VASP
! * formation energy from the elements: -0.319 eV per atom
! * M_tot: 0.00 μB per formula unit
&SYSTEM
  ibrav = 0, nat = 6, ntyp = 3
/
ATOMIC_SPECIES
Zn 65.41 Zn.upf
Lu 174.97 Lu.upf
Sm 150.36 Sm.upf
CELL_PARAMETERS angstrom
-2.2084 0.6579 4.9518
2.7532 -1.5690 4.4483
2.0280 3.7455 3.4188
ATOMIC_POSITIONS angstrom
Zn 0.5930 -0.1034 6.3023
Zn 0.2299 2.5576 5.7868
Lu 0.0000 0.0000 0.0000
Zn 2.7143 1.4425 5.5347
Zn 1.6085 1.7720 8.0141
Sm 0.6432 0.7086 3.2047


A plane-wave DFT calculation with PBE-GGA was carried out for a relaxed structure of Y2Tl2Cl.

```
data_Y2Tl2Cl
_chemical_formula_sum 'Y4 Tl4 Cl2'
_symmetry_space_group_name_H-M 'P 4/m b m'
_symmetry_Int_Tables_number 127
_symmetry_space_group_name_Hall '-P 4 2ab'
_cell_length_a 7.4573
_cell_length_b 7.4573
_cell_length_c 4.9412
_cell_angle_alpha 90.00
_cell_angle_beta 90.00
_cell_angle_gamma 90.00
loop_
_atom_site_label
_atom_site_fract_x
_atom_site_fract_y
_atom_site_fract_z
Y1 0.1640 0.3360 0.0000
Tl1 0.1464 0.6464 0.5000
Cl1 0.0000 0.0000 0.0000
```

The uncorrected formation energy is -747 meV/atom. As for the crystal system: tetragonal. Its density of states at the Fermi level is 7.1 states/eV/cell.

***

A plane-wave DFT calculation with PBE-GGA was carried out for a relaxed structure of LaPmTeO2.

```
data_LaPmTeO2
_chemical_formula_sum 'La2 Pm2 Te2 O4'
_symmetry_space_group_name_H-M 'I 4 m m'
_symmetry_Int_Tables_number 107
_symmetry_space_group_name_Hall 'I 4 -2'
_cell_length_a 4.0884
_cell_length_b 4.0884
_cell_length_c 13.0451
_cell_angle_alpha 90.00
_cell_angle_beta 90.00
_cell_angle_gamma 90.00
loop_
_atom_site_label
_atom_site_fract_x
_atom_site_fract_y
_atom_site_fract_z
La1 0.0000 0.0000 0.0000
Pm1 0.0000 0.0000 0.6801
Te1 0.0000 0.0000 0.3372
O1 0.0000 0.5000 0.0927
```

The uncorrected formation energy is -2964 meV/atom. As for the crystal system: tetragonal. Its density of states at the Fermi level is 0.0 states/eV/cell.

***

Please write out number 2 again, unchanged.
A plane-wave DFT calculation with PBE-GGA was carried out for a relaxed structure of LaPmTeO2.

```
data_LaPmTeO2
_chemical_formula_sum 'La2 Pm2 Te2 O4'
_symmetry_space_group_name_H-M 'I 4 m m'
_symmetry_Int_Tables_number 107
_symmetry_space_group_name_Hall 'I 4 -2'
_cell_length_a 4.0884
_cell_length_b 4.0884
_cell_length_c 13.0451
_cell_angle_alpha 90.00
_cell_angle_beta 90.00
_cell_angle_gamma 90.00
loop_
_atom_site_label
_atom_site_fract_x
_atom_site_fract_y
_atom_site_fract_z
La1 0.0000 0.0000 0.0000
Pm1 0.0000 0.0000 0.6801
Te1 0.0000 0.0000 0.3372
O1 0.0000 0.5000 0.0927
```

The uncorrected formation energy is -2964 meV/atom. As for the crystal system: tetragonal. Its density of states at the Fermi level is 0.0 states/eV/cell.

***

> The highest density of states at the Fermi level belongs to which entry?

Y2Tl2Cl

***

Please write out number 2 again, unchanged.
A plane-wave DFT calculation with PBE-GGA was carried out for a relaxed structure of LaPmTeO2.

```
data_LaPmTeO2
_chemical_formula_sum 'La2 Pm2 Te2 O4'
_symmetry_space_group_name_H-M 'I 4 m m'
_symmetry_Int_Tables_number 107
_symmetry_space_group_name_Hall 'I 4 -2'
_cell_length_a 4.0884
_cell_length_b 4.0884
_cell_length_c 13.0451
_cell_angle_alpha 90.00
_cell_angle_beta 90.00
_cell_angle_gamma 90.00
loop_
_atom_site_label
_atom_site_fract_x
_atom_site_fract_y
_atom_site_fract_z
La1 0.0000 0.0000 0.0000
Pm1 0.0000 0.0000 0.6801
Te1 0.0000 0.0000 0.3372
O1 0.0000 0.5000 0.0927
```

The uncorrected formation energy is -2964 meV/atom. As for the crystal system: tetragonal. Its density of states at the Fermi level is 0.0 states/eV/cell.


# LaSiAu2

A crystal of LaSiAu2 relaxed with PBEsol (SCAN, Alexandria).
********

! SmLuZn4 | Alexandria | PBE-GGA | relaxed; values from VASP
! * formation energy from the elements: -0.319 eV per atom
! * M_tot: 0.00 μB per formula unit
&SYSTEM
  ibrav = 0, nat = 6, ntyp = 3
/
ATOMIC_SPECIES
Zn 65.41 Zn.upf
Lu 174.97 Lu.upf
Sm 150.36 Sm.upf
CELL_PARAMETERS angstrom
-2.2084 0.6579 4.9518
2.7532 -1.5690 4.4483
2.0280 3.7455 3.4188
ATOMIC_POSITIONS angstrom
Zn 0.5930 -0.1034 6.3023
Zn 0.2299 2.5576 5.7868
Lu 0.0000 0.0000 0.0000
Zn 2.7143 1.4425 5.5347
Zn 1.6085 1.7720 8.0141
Sm 0.6432 0.7086 3.2047


A plane-wave DFT calculation with PBE-GGA was carried out for a relaxed structure of Y2Tl2Cl.

```
data_Y2Tl2Cl
_chemical_formula_sum 'Y4 Tl4 Cl2'
_symmetry_space_group_name_H-M 'P 4/m b m'
_symmetry_Int_Tables_number 127
_symmetry_space_group_name_Hall '-P 4 2ab'
_cell_length_a 7.4573
_cell_length_b 7.4573
_cell_length_c 4.9412
_cell_angle_alpha 90.00
_cell_angle_beta 90.00
_cell_angle_gamma 90.00
loop_
_atom_site_label
_atom_site_fract_x
_atom_site_fract_y
_atom_site_fract_z
Y1 0.1640 0.3360 0.0000
Tl1 0.1464 0.6464 0.5000
Cl1 0.0000 0.0000 0.0000
```

The uncorrected formation energy is -747 meV/atom. As for the crystal system: tetragonal. Its density of states at the Fermi level is 7.1 states/eV/cell.

***

A plane-wave DFT calculation with PBE-GGA was carried out for a relaxed structure of LaPmTeO2.

```
data_LaPmTeO2
_chemical_formula_sum 'La2 Pm2 Te2 O4'
_symmetry_space_group_name_H-M 'I 4 m m'
_symmetry_Int_Tables_number 107
_symmetry_space_group_name_Hall 'I 4 -2'
_cell_length_a 4.0884
_cell_length_b 4.0884
_cell_length_c 13.0451
_cell_angle_alpha 90.00
_cell_angle_beta 90.00
_cell_angle_gamma 90.00
loop_
_atom_site_label
_atom_site_fract_x
_atom_site_fract_y
_atom_site_fract_z
La1 0.0000 0.0000 0.0000
Pm1 0.0000 0.0000 0.6801
Te1 0.0000 0.0000 0.3372
O1 0.0000 0.5000 0.0927
```

The uncorrected formation energy is -2964 meV/atom. As for the crystal system: tetragonal. Its density of states at the Fermi level is 0.0 states/eV/cell.

***

Please write out number 2 again, unchanged.
A plane-wave DFT calculation with PBE-GGA was carried out for a relaxed structure of LaPmTeO2.

```
data_LaPmTeO2
_chemical_formula_sum 'La2 Pm2 Te2 O4'
_symmetry_space_group_name_H-M 'I 4 m m'
_symmetry_Int_Tables_number 107
_symmetry_space_group_name_Hall 'I 4 -2'
_cell_length_a 4.0884
_cell_length_b 4.0884
_cell_length_c 13.0451
_cell_angle_alpha 90.00
_cell_angle_beta 90.00
_cell_angle_gamma 90.00
loop_
_atom_site_label
_atom_site_fract_x
_atom_site_fract_y
_atom_site_fract_z
La1 0.0000 0.0000 0.0000
Pm1 0.0000 0.0000 0.6801
Te1 0.0000 0.0000 0.3372
O1 0.0000 0.5000 0.0927
```

The uncorrected formation energy is -2964 meV/atom. As for the crystal system: tetragonal. Its density of states at the Fermi level is 0.0 states/eV/cell.

***

> The highest density of states at the Fermi level belongs to which entry?

Y2Tl2Cl

***

Please write out number 2 again, unchanged.
A plane-wave DFT calculation with PBE-GGA was carried out for a relaxed structure of LaPmTeO2.

```
data_LaPmTeO2
_chemical_formula_sum 'La2 Pm2 Te2 O4'
_symmetry_space_group_name_H-M 'I 4 m m'
_symmetry_Int_Tables_number 107
_symmetry_space_group_name_Hall 'I 4 -2'
_cell_length_a 4.0884
_cell_length_b 4.0884
_cell_length_c 13.0451
_cell_angle_alpha 90.00
_cell_angle_beta 90.00
_cell_angle_gamma 90.00
loop_
_atom_site_label
_atom_site_fract_x
_atom_site_fract_y
_atom_site_fract_z
La1 0.0000 0.0000 0.0000
Pm1 0.0000 0.0000 0.6801
Te1 0.0000 0.0000 0.3372
O1 0.0000 0.5000 0.0927
```

The uncorrected formation energy is -2964 meV/atom. As for the crystal system: tetragonal. Its density of states at the Fermi level is 0.0 states/eV/cell.


# LaSiAu2

A crystal of LaSiAu2 relaxed with PBEsol (SCAN, Alexandria).